Brief:
What is needed: give back only the lines further below with the word "angles" in them.

File:
=====
For Tm2ScIn3Pt2, a cell relaxed with GGA-PBE gives the theoretical XRD peak list in this record (a wavelength of 1.5418 Å).

Atomic structure:
a b c (Å): 3.5111 13.2363 7.6208
angles (deg): 90.00 90.00 90.00
Space group Amm2 (No. 38)
Asymmetric unit:
Tm1 0.0000 0.2107 0.0000 x4
Sc1 0.0000 0.0000 0.6337 x2
In1 0.5000 0.0000 0.9738 x2
In2 0.5000 0.1140 0.3291 x4
Pt1 0.5000 0.1627 0.7086 x4

Main lines, by angle (15 to 90 degrees two-theta):
| 2θ/deg | intensity | index |
| --- | --- | --- |
| 34.72 | 100 | 1 0 2 |
| 35.95 | 79 | 0 4 2 |
| 37.37 | 68 | 1 2 2 |
| 40.98 | 24 | 0 3 3 |
| 44.51 | 23 | 1 5 1 |
| 52.10 | 16 | 2 0 0 |
| 56.61 | 13 | 1 7 1 |
| 64.92 | 28 | 2 4 2 |
| 67.23 | 15 | 1 7 3 |
| 70.65 | 20 | 1 3 5 |

For Tb2In6Si4Pt, a cell relaxed with GGA-PBE gives the theoretical XRD peak list in this record (a wavelength of 1.5418 Å).

Atomic structure:
a b c (Å): 4.4551 4.4551 53.0790
angles (deg): 90.00 90.00 120.00
Space group R-3m (No. 166, hexagonal axes)
Asymmetric unit:
Tb1 0.0000 0.0000 0.0650 x6
In1 0.0000 0.0000 0.1843 x6
In2 0.0000 0.0000 0.3141 x6
In3 0.0000 0.0000 0.4465 x6
Si1 0.0000 0.0000 0.2395 x6
Si2 0.0000 0.0000 0.3676 x6
Pt1 0.0000 0.0000 0.5000 x3

Main lines, by angle (15 to 90 degrees two-theta):
| 2θ/deg | intensity | index |
| --- | --- | --- |
| 24.55 | 13 | 0 1 5 |
| 25.91 | 26 | 1 0 7 |
| 26.73 | 75 | 0 1 8 |
| 35.69 | 100 | 1 0 16 |
| 40.50 | 91 | 1 1 0 |
| 49.19 | 14 | 2 0 8 |
| 54.94 | 13 | 1 1 21 |
| 55.07 | 28 | 0 2 16 |
| 70.55 | 27 | 2 1 16 |
| 73.66 | 15 | 3 0 0 |

For Sr2In3SnPt2, a cell relaxed with GGA-PBE gives the theoretical XRD peak list in this record (a wavelength of 1.5418 Å).

Atomic structure:
a b c (Å): 11.1580 4.5212 7.8591
angles (deg): 90.00 90.38 90.00
Space group Cm (No. 8)
Asymmetric unit:
Sr1 0.0000 0.0000 0.0000 x2
Sr2 0.1304 0.0000 0.4987 x2
In1 0.2130 0.5000 0.1962 x2
In2 0.4156 0.0000 0.2996 x2
In3 0.4201 0.0000 0.6949 x2
Sn1 0.2140 0.5000 0.8013 x2
Pt1 0.2811 0.0000 0.9932 x2
Pt2 0.3481 0.5000 0.5016 x2

Main lines, by angle (15 to 90 degrees two-theta):
| 2θ/deg | intensity | index |
| --- | --- | --- |
| 15.89 | 87 | 2 0 0 |
| 31.16 | 75 | 1 1 -2 |
| 31.24 | 62 | 1 1 2 |
| 33.15 | 65 | 3 1 -1 |
| 33.27 | 61 | 3 1 1 |
| 38.74 | 36 | 3 1 -2 |
| 38.94 | 43 | 3 1 2 |
| 39.88 | 73 | 0 2 0 |
| 40.61 | 100 | 1 1 -3 |
| 61.70 | 39 | 7 1 0 |

For Tb2In16Pt7, a cell relaxed with GGA-PBE gives the theoretical XRD peak list in this record (a wavelength of 1.5418 Å).

Atomic structure:
a b c (Å): 12.2660 20.2146 4.4402
angles (deg): 90.00 90.00 90.00
Space group Cmmm (No. 65)
Asymmetric unit:
Tb1 0.1695 0.0000 0.0000 x4
In1 0.0000 0.0731 0.5000 x4
In2 0.1241 0.1626 0.0000 x8
In3 0.1305 0.3869 0.0000 x8
In4 0.1319 0.5000 0.5000 x4
In5 0.1359 0.2767 0.5000 x8
Pt1 0.0000 0.2758 0.0000 x4
Pt2 0.0000 0.5000 0.0000 x2
Pt3 0.2236 0.1079 0.5000 x8

Main lines, by angle (15 to 90 degrees two-theta):
| 2θ/deg | intensity | index |
| --- | --- | --- |
| 22.80 | 32 | 2 4 0 |
| 24.75 | 31 | 2 0 1 |
| 30.79 | 24 | 1 5 1 |
| 33.39 | 25 | 0 6 1 |
| 35.54 | 21 | 0 8 0 |
| 37.26 | 87 | 3 5 1 |
| 39.94 | 100 | 4 4 1 |
| 40.64 | 58 | 0 0 2 |
| 40.84 | 21 | 1 9 0 |
| 67.85 | 40 | 7 9 0 |

For Tb2TmIn3Pt2, a cell relaxed with GGA-PBE gives the theoretical XRD peak list in this record (a wavelength of 1.5418 Å).

Atomic structure:
a b c (Å): 3.6296 13.3233 7.7008
angles (deg): 90.00 90.00 90.00
Space group Amm2 (No. 38)
Asymmetric unit:
Tb1 0.0000 0.2103 0.0000 x4
Tm1 0.0000 0.0000 0.6318 x2
In1 0.5000 0.0000 0.9783 x2
In2 0.5000 0.1145 0.3263 x4
Pt1 0.5000 0.1641 0.7090 x4

Main lines, by angle (15 to 90 degrees two-theta):
| 2θ/deg | intensity | index |
| --- | --- | --- |
| 33.95 | 100 | 1 3 1 |
| 35.64 | 69 | 0 1 3 |
| 36.61 | 69 | 1 4 0 |
| 40.61 | 19 | 0 6 0 |
| 49.29 | 16 | 0 7 1 |
| 50.28 | 17 | 2 0 0 |
| 55.81 | 21 | 1 5 3 |
| 63.14 | 26 | 2 1 3 |
| 66.33 | 17 | 1 7 3 |
| 69.64 | 23 | 1 6 4 |
=====

Solution:
angles (deg): 90.00 90.00 90.00
angles (deg): 90.00 90.00 120.00
angles (deg): 90.00 90.38 90.00
angles (deg): 90.00 90.00 90.00
angles (deg): 90.00 90.00 90.00